-- Entries --
+++
(P)
DFT (ωB97M-V with the def2-TZVPD basis set) results for the molecule C6H11N.

Element x y z (Å)
N 0.8973 -0.7210 -1.2733
C 2.1210 -0.0236 0.8182
C -1.6163 -1.5662 -0.5102
C -0.5820 1.9604 0.5629
C 0.9522 -0.0345 -0.1177
C -0.2818 0.5940 0.0335
C -1.1352 -0.1747 -0.8021
H -1.7836 -2.1309 -1.4298
H 2.3262 -1.0305 1.1950
H -1.8309 0.3715 -1.4503
H 3.0231 0.3378 0.3204
H 1.9300 0.6159 1.6809
H -2.5803 -1.5043 0.0101
H -1.1143 2.5614 -0.1834
H 0.3324 2.4992 0.8176
H -0.9203 -2.1103 0.1270
H 1.4691 -1.5778 -1.2600
H -1.2065 1.9338 1.4609

Output
Kohn-Sham gap (alpha / beta): 8.49 / 8.49 eV
charge: 0
LUMO level (alpha / beta): 0.8 / 0.8 eV
2S+1: 1
SMILES: [H]/N=C(C)/C(C)=C\C

These are the Löwdin partial charges, in e, on atoms 1 to 8:
1 N 0.112
2 C -0.034
3 C -0.105
4 C -0.059
5 C -0.410
6 C -0.285
7 C -0.077
8 H 0.074

=====

(Q)
DFT (ωB97M-V with the def2-TZVPD basis set) results for the molecule C6H11N.

Element x y z (Å)
N -1.6698 -0.3723 0.4991
C -0.5291 -0.3470 -0.2459
C -0.6371 -1.0541 -1.5720
C 0.6397 0.1746 0.1983
C 2.8079 1.2079 -0.3429
C -1.7177 0.1682 1.8288
C 1.8011 0.3954 -0.6621
H -2.4420 -0.9127 0.1589
H -0.2127 -0.4795 -2.3879
H -1.6546 1.2584 1.8704
H -1.6846 -1.2971 -1.7511
H -2.6104 -0.1849 2.3339
H 2.8035 1.8169 0.5492
H 3.7421 1.1975 -0.8874
H 0.5830 0.8365 1.0528
H -0.1396 -2.0231 -1.4751
H 1.8032 -0.1587 -1.5929
H -0.8830 -0.2259 2.4262

Output
Kohn-Sham gap: 8.19 eV
charge: 0
LUMO level: 1.0 eV
2S+1: 1
SMILES: C=C/C=C(\C)NC

These are the Löwdin partial charges, in e, on atoms 1 to 8:
1 N -0.049
2 C -0.357
3 C -0.031
4 C -0.099
5 C -0.025
6 C -0.108
7 C -0.204
8 H 0.119

=====

(R)
DFT (ωB97M-V with the def2-TZVPD basis set) results for the molecule C6H11N.

Element x y z (Å)
N -0.1206 1.1427 0.0877
C -1.5870 0.6900 -0.0310
C 3.0817 -0.4310 -1.1732
C 0.8055 0.6040 -0.7969
C -2.9801 -0.9345 1.3390
C 1.9556 0.0210 -0.4279
C -1.9459 -0.0502 1.2160
H -1.7779 0.1058 -0.9428
H 4.0998 -0.6697 -0.6727
H 3.5671 0.2641 -1.8156
H -3.6452 -1.3536 0.7017
H 0.5173 0.7838 -1.8603
H -3.1802 -1.2068 2.3734
H 0.2171 1.1414 0.9858
H -1.3556 -0.0687 2.1390
H -2.2383 1.5599 -0.0973
H 2.7185 -1.4153 -1.7404
H 1.8683 -0.1830 0.7155

Output
Kohn-Sham gap: 9.00 eV
charge: 0
LUMO level: 1.2 eV
2S+1: 1
SMILES: C=CCN/C=C/C

These are the Löwdin partial charges, in e, on atoms 1 to 8:
1 N -0.043
2 C -0.169
3 C -0.166
4 C -0.208
5 C 0.014
6 C -0.225
7 C -0.161
8 H 0.121

=====

(S)
DFT (ωB97M-V with the def2-TZVPD basis set) results for the molecule C6H11N.

Element x y z (Å)
N 0.8785 0.6644 1.2058
C 1.5816 -0.1237 0.2961
C -0.3851 1.3553 0.9569
C -1.4234 0.6454 0.0955
C 2.7830 0.1339 -0.2233
C -1.7119 -1.5258 -1.2726
C -1.3582 -0.6693 -0.0792
H -0.8562 1.5691 1.9239
H 3.3585 0.9313 0.2405
H -2.2334 1.3124 -0.1811
H -0.8310 -2.1318 -1.4768
H -1.8908 -0.8717 -2.1280
H -0.8911 -1.2339 0.7210
H 1.5111 1.3667 1.5730
H -2.6081 -2.1323 -1.1556
H 3.1628 -0.5158 -0.9942
H 1.0869 -1.0623 0.0732
H -0.1734 2.2881 0.4250

Output
Kohn-Sham gap: 9.15 eV
charge: 0
LUMO level: 1.1 eV
2S+1: 1
SMILES: C=CNC/C=C/C

These are the Löwdin partial charges, in e, on atoms 1 to 8:
1 N -0.057
2 C -0.258
3 C -0.214
4 C -0.106
5 C -0.001
6 C -0.089
7 C -0.196
8 H 0.113

=====

Relative stability in kJ/mol, measured from the most stable structure: (P) 148.6; (Q) 0.0; (R) 180.7; (S) 133.7

=====

(P)
DFT (ωB97M-V with the def2-TZVPD basis set) results for the molecule C6H11N.

Element x y z (Å)
N -1.4047 -0.7979 -2.3708
C 0.3668 0.2854 0.3865
C -0.7509 0.9040 -0.4724
C -1.1328 -0.0415 -1.5380
C -0.0423 -1.0255 1.0820
C 1.0341 -2.1127 1.0066
C -0.3391 2.2456 -1.0868
H -1.1388 2.6710 -1.6992
H -0.9630 -1.4074 0.6259
H -0.0941 2.9575 -0.2935
H 1.6321 -2.0034 0.0963
H 1.7188 -2.0656 1.8563
H 0.5448 2.1228 -1.7200
H 1.2296 0.1090 -0.2687
H -1.6397 1.0492 0.1556
H 0.5867 -3.1084 0.9886
H -0.2896 -0.8187 2.1303
H 0.6819 1.0364 1.1213

Output
Kohn-Sham gap: 12.35 eV
charge: 0
LUMO level: 1.0 eV
2S+1: 1
SMILES: CCC[C@@H](C)C#N
+++
-- Work order --
It remains to count the lines above that contain the word "the" and give the number alone.
-- Solution --
10